Assignment:
Next, quote the whole of the notes below word for word.
File:
____________
The following is a quantum chemistry calculation of a structure of composition C22H39Cl2N4O4Pb at a distorted geometry, from OMol25.

Geometry as XYZ:
```
72
Properties=species:S:1:pos:R:3:lowdin_charge:R:1
H -4.36877 0.93798 1.13844 0.071
H 4.99207 -0.86773 0.79261 0.138
H -3.15406 -5.83745 0.59687 0.085
N -0.01725 1.22716 3.87593 -0.130
C -2.28816 -5.39980 1.10794 -0.053
H -1.84646 1.75276 -6.81715 0.086
H -1.21315 -1.19013 5.15063 0.105
H -0.61710 -4.51544 -1.70149 0.068
H 3.74207 -0.87410 -2.62526 0.069
H -1.67480 -6.22104 1.49939 0.086
H -1.91654 -5.74689 -1.54444 0.086
H 1.08871 1.09995 5.65465 0.084
H -1.14739 1.94505 2.26010 0.077
H -3.52743 1.37505 -2.70781 0.121
C -1.19145 -3.32110 0.44726 -0.324
H -0.62737 3.15348 3.48286 0.084
H -2.61784 -4.76352 1.92958 0.080
C -1.74157 1.59324 -4.66549 -0.068
C -3.26198 1.05139 -0.61728 -0.132
H 2.12688 -1.90104 2.96137 0.091
H 6.02444 0.96241 0.33945 0.081
H 0.45320 2.71881 5.24012 0.085
H 0.52368 -2.69183 2.90935 0.079
O 0.64113 -0.03708 2.12148 -0.152
C -3.09713 3.30022 -1.76241 -0.056
Pb 1.09058 -0.53648 -0.42221 1.005
H -2.20644 3.72919 -1.29072 0.093
H -2.72805 1.14103 -4.55001 0.094
C -1.06697 -5.26514 -1.04300 -0.051
C 5.46195 1.23053 -0.56084 -0.083
O -0.79275 0.76682 -1.36750 -0.277
H 0.08915 -2.30166 5.67274 0.081
H 3.53353 0.90164 -2.51147 0.046
H 0.53925 2.50105 2.27497 0.085
C 0.44020 0.04655 3.34873 -0.474
C 0.23367 1.64570 5.24373 -0.073
C -3.75651 1.67733 0.59394 -0.144
H 0.38392 2.88129 -6.99557 0.076
Cl 0.70502 -1.74200 -2.73227 -0.269
H 1.68439 3.39872 -4.91861 0.088
C -0.00628 2.58804 -6.01450 -0.158
C 0.27390 2.44865 -3.61160 -0.063
H -0.64232 -2.83253 -0.39555 0.064
N 4.76518 0.04844 -1.03766 -0.207
H 0.84327 2.62984 -2.69739 0.028
H 1.56392 -2.87406 4.35529 0.080
H -2.94688 2.00515 1.27679 0.055
O 3.48311 -1.71765 -0.32253 -0.174
C -0.13454 -1.27681 5.36456 -0.061
C 4.39928 -0.89077 -0.14237 -0.343
H -3.08517 -0.02230 -0.58262 0.098
O -1.45549 -2.73050 1.50193 -0.030
H -0.31820 -6.03421 -0.80267 0.088
H 5.08138 0.23619 -3.08738 0.087
C 4.24337 0.06954 -2.39828 -0.068
C -0.96769 1.80202 -3.51071 -0.178
C -2.94445 1.77468 -1.86023 -0.342
H 0.12325 -0.59518 6.18201 0.058
H 4.73788 2.02534 -0.32631 0.036
C -1.49773 1.38766 -2.17404 -0.410
C 0.73184 2.85934 -4.85907 -0.124
H -0.64452 1.47330 5.88007 0.084
N 0.68973 -1.01804 4.19223 -0.136
C -0.32559 2.26820 2.91611 -0.036
H -4.38653 2.55886 0.40120 0.056
H 6.14484 1.58576 -1.33987 0.085
H -3.97458 3.58115 -1.17701 0.048
N -1.51899 -4.60118 0.17081 -0.199
H -3.20018 3.71925 -2.76637 0.074
Cl 2.06796 1.94258 -0.58290 -0.091
C 1.25746 -2.19290 3.55863 -0.052
C -1.25193 1.95721 -5.91918 -0.127
```

Calculated values
Total charge: -1
Frontier orbital gap (spin up / spin down) (eV): 5.77 / 2.95
Spin multiplicity: 1
E_LUMO (spin up / spin down) (eV): 2.395 / 2.394

---

The following is a quantum chemistry calculation of a cluster of 7 separate species, C36H41FN2O21 in total at a distorted geometry, from OMol25.

Geometry as XYZ:
```
101
Properties=species:S:1:pos:R:3:lowdin_charge:R:1
H -4.66608 2.48500 1.41345 0.100
H -6.44736 -0.46266 0.92481 0.114
H -2.40250 -0.22798 -3.10703 0.139
H -2.69187 2.90327 0.09440 0.089
C -4.40108 2.15290 -5.98540 -0.567
C 9.23196 -4.97495 -2.73965 -0.112
C -3.84001 3.00158 1.87593 -0.050
F 1.15259 5.10832 2.32998 0.037
N 0.53060 2.41116 4.11113 0.004
C 9.11826 -3.07229 -3.95119 -0.567
H 6.23119 -1.82710 -2.15437 0.120
O -1.97095 -2.42642 0.74409 0.058
H 0.06148 -4.59342 1.98040 0.127
C 5.26399 -1.68985 -1.66833 -0.100
C -0.92216 -4.23514 1.68809 -0.114
C 3.32259 0.94401 1.73359 -0.195
H 2.50704 2.19182 0.16727 0.135
H 9.51386 -6.00829 -2.92265 0.133
H -5.04086 4.73280 -6.85872 0.134
C 3.21011 -1.32876 2.62392 -0.253
H -0.52189 4.57292 -0.12082 0.159
O -1.46367 -3.37410 2.69515 0.062
C 2.70565 2.22802 1.23843 -0.058
H -7.08656 2.82966 -5.59354 0.135
C 2.35869 -2.48718 3.07709 -0.035
H 2.68125 -3.41588 2.61424 0.076
H -0.31503 1.38235 2.06300 0.144
H 2.33776 -2.56718 4.16084 0.088
____________
Result:
The following is a quantum chemistry calculation of a structure of composition C22H39Cl2N4O4Pb at a distorted geometry, from OMol25.

Geometry as XYZ:
```
72
Properties=species:S:1:pos:R:3:lowdin_charge:R:1
H -4.36877 0.93798 1.13844 0.071
H 4.99207 -0.86773 0.79261 0.138
H -3.15406 -5.83745 0.59687 0.085
N -0.01725 1.22716 3.87593 -0.130
C -2.28816 -5.39980 1.10794 -0.053
H -1.84646 1.75276 -6.81715 0.086
H -1.21315 -1.19013 5.15063 0.105
H -0.61710 -4.51544 -1.70149 0.068
H 3.74207 -0.87410 -2.62526 0.069
H -1.67480 -6.22104 1.49939 0.086
H -1.91654 -5.74689 -1.54444 0.086
H 1.08871 1.09995 5.65465 0.084
H -1.14739 1.94505 2.26010 0.077
H -3.52743 1.37505 -2.70781 0.121
C -1.19145 -3.32110 0.44726 -0.324
H -0.62737 3.15348 3.48286 0.084
H -2.61784 -4.76352 1.92958 0.080
C -1.74157 1.59324 -4.66549 -0.068
C -3.26198 1.05139 -0.61728 -0.132
H 2.12688 -1.90104 2.96137 0.091
H 6.02444 0.96241 0.33945 0.081
H 0.45320 2.71881 5.24012 0.085
H 0.52368 -2.69183 2.90935 0.079
O 0.64113 -0.03708 2.12148 -0.152
C -3.09713 3.30022 -1.76241 -0.056
Pb 1.09058 -0.53648 -0.42221 1.005
H -2.20644 3.72919 -1.29072 0.093
H -2.72805 1.14103 -4.55001 0.094
C -1.06697 -5.26514 -1.04300 -0.051
C 5.46195 1.23053 -0.56084 -0.083
O -0.79275 0.76682 -1.36750 -0.277
H 0.08915 -2.30166 5.67274 0.081
H 3.53353 0.90164 -2.51147 0.046
H 0.53925 2.50105 2.27497 0.085
C 0.44020 0.04655 3.34873 -0.474
C 0.23367 1.64570 5.24373 -0.073
C -3.75651 1.67733 0.59394 -0.144
H 0.38392 2.88129 -6.99557 0.076
Cl 0.70502 -1.74200 -2.73227 -0.269
H 1.68439 3.39872 -4.91861 0.088
C -0.00628 2.58804 -6.01450 -0.158
C 0.27390 2.44865 -3.61160 -0.063
H -0.64232 -2.83253 -0.39555 0.064
N 4.76518 0.04844 -1.03766 -0.207
H 0.84327 2.62984 -2.69739 0.028
H 1.56392 -2.87406 4.35529 0.080
H -2.94688 2.00515 1.27679 0.055
O 3.48311 -1.71765 -0.32253 -0.174
C -0.13454 -1.27681 5.36456 -0.061
C 4.39928 -0.89077 -0.14237 -0.343
H -3.08517 -0.02230 -0.58262 0.098
O -1.45549 -2.73050 1.50193 -0.030
H -0.31820 -6.03421 -0.80267 0.088
H 5.08138 0.23619 -3.08738 0.087
C 4.24337 0.06954 -2.39828 -0.068
C -0.96769 1.80202 -3.51071 -0.178
C -2.94445 1.77468 -1.86023 -0.342
H 0.12325 -0.59518 6.18201 0.058
H 4.73788 2.02534 -0.32631 0.036
C -1.49773 1.38766 -2.17404 -0.410
C 0.73184 2.85934 -4.85907 -0.124
H -0.64452 1.47330 5.88007 0.084
N 0.68973 -1.01804 4.19223 -0.136
C -0.32559 2.26820 2.91611 -0.036
H -4.38653 2.55886 0.40120 0.056
H 6.14484 1.58576 -1.33987 0.085
H -3.97458 3.58115 -1.17701 0.048
N -1.51899 -4.60118 0.17081 -0.199
H -3.20018 3.71925 -2.76637 0.074
Cl 2.06796 1.94258 -0.58290 -0.091
C 1.25746 -2.19290 3.55863 -0.052
C -1.25193 1.95721 -5.91918 -0.127
```

Calculated values
Total charge: -1
Frontier orbital gap (spin up / spin down) (eV): 5.77 / 2.95
Spin multiplicity: 1
E_LUMO (spin up / spin down) (eV): 2.395 / 2.394

---

The following is a quantum chemistry calculation of a cluster of 7 separate species, C36H41FN2O21 in total at a distorted geometry, from OMol25.

Geometry as XYZ:
```
101
Properties=species:S:1:pos:R:3:lowdin_charge:R:1
H -4.66608 2.48500 1.41345 0.100
H -6.44736 -0.46266 0.92481 0.114
H -2.40250 -0.22798 -3.10703 0.139
H -2.69187 2.90327 0.09440 0.089
C -4.40108 2.15290 -5.98540 -0.567
C 9.23196 -4.97495 -2.73965 -0.112
C -3.84001 3.00158 1.87593 -0.050
F 1.15259 5.10832 2.32998 0.037
N 0.53060 2.41116 4.11113 0.004
C 9.11826 -3.07229 -3.95119 -0.567
H 6.23119 -1.82710 -2.15437 0.120
O -1.97095 -2.42642 0.74409 0.058
H 0.06148 -4.59342 1.98040 0.127
C 5.26399 -1.68985 -1.66833 -0.100
C -0.92216 -4.23514 1.68809 -0.114
C 3.32259 0.94401 1.73359 -0.195
H 2.50704 2.19182 0.16727 0.135
H 9.51386 -6.00829 -2.92265 0.133
H -5.04086 4.73280 -6.85872 0.134
C 3.21011 -1.32876 2.62392 -0.253
H -0.52189 4.57292 -0.12082 0.159
O -1.46367 -3.37410 2.69515 0.062
C 2.70565 2.22802 1.23843 -0.058
H -7.08656 2.82966 -5.59354 0.135
C 2.35869 -2.48718 3.07709 -0.035
H 2.68125 -3.41588 2.61424 0.076
H -0.31503 1.38235 2.06300 0.144
H 2.33776 -2.56718 4.16084 0.088